Sustainability in surgery
Updated Green Theatre Checklist
The Intercollegiate Green Theatre Checklist has been redesigned based on your feedback to make it more practical and effective. Actions are now clearly separated into those that can be implemented immediately and those that require long-term planning.
The checklist is also now a fully multidisciplinary effort, showing expanded representation across the whole surgical team.
Download the Intercollegiate Green Theatre Checklist and the supporting compendium of peer-reviewed evidence, guidelines and policies to see how you can introduce meaningful changes in your operating department and help reduce surgery’s carbon footprint.
We have also endorsed a new landmark Green Surgery report that sets the groundwork for reducing the carbon footprint of surgical care. Find out more.
The story so far
-- Next to the page, the page also holds records of crystals --
/*
No. 1
This entry pairs a crystal structure of La3Zn2AgPd9 with its computed X-ray diffraction stick pattern. Radiation: Cu Kα, 1.54184 Å. Structure: a GGA-PBE-relaxed structure.
Neutral-atom scattering factors, no anomalous dispersion.

The 12 most intense peaks (10° ≤ 2θ ≤ 80°), by angle:
2θ = 19.32°, intensity 72, hkl 1 0 1; 2θ = 23.12°, intensity 180, hkl 1 1 0; 2θ = 30.30°, intensity 965, hkl 0 2 1; 2θ = 31.24°, intensity 79, hkl 0 1 2; 2θ = 39.22°, intensity 1000, hkl 2 0 2; 2θ = 42.78°, intensity 126, hkl 0 0 3; 2θ = 47.25°, intensity 576, hkl 2 2 0; 2θ = 57.17°, intensity 151, hkl 4 0 1; 2θ = 63.03°, intensity 234, hkl 0 4 2; 2θ = 65.17°, intensity 214, hkl 0 2 4; 2θ = 65.62°, intensity 202, hkl 2 2 3; 2θ = 77.24°, intensity 119, hkl 2 4 1

Structural model:
Cell lengths 7.6945, 7.6945, 6.3413 Å; angles 90.00, 90.00, 120.00 degrees
Space group P-3m1 (No. 164)
Symmetry-distinct sites (fractional):
La  0.0000  0.0000  0.0000 [1 per cell]
La  0.3333  0.6667  0.6552 [2 per cell]
Zn  0.3333  0.6667  0.1474 [2 per cell]
Ag  0.0000  0.0000  0.5000 [1 per cell]
Pd  0.0000  0.5000  0.0000 [3 per cell]
Pd  0.1754  0.3509  0.3323 [6 per cell]

No. 2
This entry pairs a crystal structure of LaPm2Zn2Ag2 with its computed X-ray diffraction stick pattern. Radiation: Cu Kα, 1.54184 Å. Structure: a GGA-PBE-relaxed structure.
Neutral-atom scattering factors, no anomalous dispersion.

The 12 most intense peaks (10° ≤ 2θ ≤ 80°), by angle:
2θ = 22.02°, intensity 148, hkl 1 0 1; 2θ = 25.35°, intensity 164, hkl 1 0 4; 2θ = 31.54°, intensity 656, hkl 1 0 7; 2θ = 34.01°, intensity 770, hkl 0 1 8; 2θ = 38.21°, intensity 1000, hkl 1 1 0; 2θ = 49.48°, intensity 110, hkl 0 0 15; 2θ = 50.35°, intensity 174, hkl 0 2 7; 2θ = 52.07°, intensity 227, hkl 2 0 8; 2θ = 64.19°, intensity 296, hkl 1 1 15; 2θ = 64.92°, intensity 160, hkl 2 1 7; 2θ = 66.39°, intensity 215, hkl 1 2 8; 2θ = 69.06°, intensity 168, hkl 3 0 0

Structural model:
Cell lengths 4.7114, 4.7114, 27.6291 Å; angles 90.00, 90.00, 120.00 degrees
Space group R-3m (No. 166, hexagonal axes)
Symmetry-distinct sites (fractional):
La  0.0000  0.0000  0.0000 [3 per cell]
Pm  0.0000  0.0000  0.1257 [6 per cell]
Zn  0.0000  0.0000  0.2580 [6 per cell]
Ag  0.0000  0.0000  0.4031 [6 per cell]

No. 3
This entry pairs a crystal structure of La6Pr3Ag with its computed X-ray diffraction stick pattern. Radiation: Cu Kα, 1.54184 Å. Structure: a GGA-PBE-relaxed structure.
Neutral-atom scattering factors, no anomalous dispersion.

The 12 most intense peaks (10° ≤ 2θ ≤ 80°), by angle:
*/
-- The records of crystals stop here --
Climate change is the defining issue of this decade, and it is imperative that the role of individuals and organisations is understood. The NHS accounts for 4% of the UK's total carbon footprint, including travel, infrastructure and waste management. Operating theatres are responsible for a major part of this, producing 50-70% of total hospital waste.
Our commitment to sustainability
Recognising the severity of the situation, we made a climate emergency declaration in Summer 2023, together with the other UK surgical royal colleges. We have also pledged our support to the ten commitments set out by the UK Health Alliance on Climate Change (UKHACC), recognising the need for health organisations to show leadership and take steps to mitigate and adapt to climate change.

Setting a framework
Our Sustainability in Surgery Strategy, launched in 2021, outlining how we plan to embed financial, environmental and social sustainability with ethical purchasing into everything we do, this is now guided by our members through our Sustainability Champions. We are committed to supporting sustainability work and to help our industry to meet net zero carbon by 2045, in line with the Greener NHS strategy.
The Royal College of Surgeons of England is a member of the UK Health Alliance on Climate Change and we will align with relevant national and international initiatives aimed at mitigating further global temperature rise and climate change, including the UN Sustainable Development Goals.
Guidance and support
- Solid waste reduction
- Green purchasing
- Water conservation
- Care pathways
- Cultural change and surgical leadership.
Working groups
Two working groups guide the development and implementation of our sustainability strategy.
Sustainability Staff Group
Our staff are passionate about a greener future for RCS England. This group lead on identifying areas to improve sustainability in day-to-day operational running, maximising opportunities in the College building in London. Details of members of this group and terms of reference are to follow.
Sustainability Champions
Our Sustainability Champions were appointed to help guide, inform and implement our sustainability projects from September 2023 onwards.
James Lind Alliance
SiS Group Vice Chair Victoria Pegna, led The Royal College of Surgeons of England in supporting the James Lind Alliance, ‘Greener Operations’. In June 2022, the results identified the top ten research questions that should be addressed to help make operations (including surgery, anaesthesia, and healthcare provided around the time of an operation) more environmentally sustainable.
Green Surgery Challenge
RCS England are proud partners of The Centre for Sustainable Healthcare’s Green Surgery Challenge. The 2021 challenge involved five finalists devising and implementing a quality improvement project to make surgical practice more environmentally, socially and economically sustainable, whilst maintaining or improving standards of clinical care.
Congratulations to the team from Leeds Teaching Hospital NHS Trust for winning the Green Surgery Challenge with their holistic review of a laparoscopic appendicectomy. All five teams presented innovative projects to help make surgery greener, with initiatives ranging from reusable materials to examining preoperative care. If all of the projects were continued for one year they would save a combined 133.3 tonnes of CO2e.